• Brief:
It remains to search the rows below for the word "data_CdFeSiHg" and type out each line that has it.

• Input:
~~~
# Zr4InSbN2 | OQMD | GGA-PBE | relaxed
data_Zr4InSbN2
_space_group_name_H-M_alt 'P -6 m 2'
_space_group_IT_number 187
_space_group_name_Hall 'P -6 2'
_cell_length_a 3.3760
_cell_length_b 3.3760
_cell_length_c 14.2353
_cell_angle_alpha 90.00
_cell_angle_beta 90.00
_cell_angle_gamma 120.00
loop_
_atom_site_label
_atom_site_fract_x
_atom_site_fract_y
_atom_site_fract_z
Zr1 0.0000 0.0000 0.1580
Zr2 0.6667 0.3333 0.3286
In1 0.0000 0.0000 0.5000
Sb1 0.6667 0.3333 0.0000
N1 0.3333 0.6667 0.2461
# * M_tot: 0.0011 μB/atom
# * electronic total energy: -66.2 eV/cell

---

# LuScCuSi | OQMD | GGA-PBE | relaxed
data_LuScCuSi
_space_group_name_H-M_alt 'F -4 3 m'
_space_group_IT_number 216
_space_group_name_Hall 'F -4 2 3'
_cell_length_a 6.640
_cell_length_b 6.640
_cell_length_c 6.640
_cell_angle_alpha 90.00
_cell_angle_beta 90.00
_cell_angle_gamma 90.00
loop_
_atom_site_label
_atom_site_fract_x
_atom_site_fract_y
_atom_site_fract_z
Lu1 0.000 0.000 0.000
Sc1 0.250 0.250 0.250
Cu1 0.250 0.250 0.750
Si1 0.000 0.000 0.500
# * M_tot: 0.0061 μB/atom
# * electronic total energy: -78.7 eV/cell

---

# CoPdW | OQMD | GGA-PBE | relaxed
data_CoPdW
_space_group_name_H-M_alt 'F -4 3 m'
_space_group_IT_number 216
_space_group_name_Hall 'F -4 2 3'
_cell_length_a 5.717
_cell_length_b 5.717
_cell_length_c 5.717
_cell_angle_alpha 90.00
_cell_angle_beta 90.00
_cell_angle_gamma 90.00
loop_
_atom_site_label
_atom_site_fract_x
_atom_site_fract_y
_atom_site_fract_z
Co1 0.000 0.000 0.000
Pd1 0.250 0.250 0.750
W1 0.250 0.250 0.250
# * M_tot: 0.2036 μB/atom
# * formation energy from the elements: 0.574 eV per atom
# * electronic total energy: -94.1 eV/cell

---

# In2Co2Mo3 | OQMD | GGA-PBE | relaxed
data_In2Co2Mo3
_space_group_name_H-M_alt 'R 3 m'
_space_group_IT_number 160
_space_group_name_Hall 'R 3 -2"'
_cell_length_a 4.3637
_cell_length_b 4.3637
_cell_length_c 19.6209
_cell_angle_alpha 90.00
_cell_angle_beta 90.00
_cell_angle_gamma 120.00
loop_
_atom_site_label
_atom_site_fract_x
_atom_site_fract_y
_atom_site_fract_z
In1 0.0000 0.0000 0.0000
In2 0.0000 0.0000 0.4225
Co1 0.0000 0.0000 0.1449
Co2 0.0000 0.0000 0.7072
Mo1 0.0000 0.0000 0.2714
Mo2 0.0000 0.0000 0.5666
Mo3 0.0000 0.0000 0.8482
# * M_tot: 0.1797 μB/atom
# * electronic total energy: -152.5 eV/cell

---

# LuZnInCu | OQMD | GGA-PBE | relaxed
data_LuZnInCu
_space_group_name_H-M_alt 'F -4 3 m'
_space_group_IT_number 216
_space_group_name_Hall 'F -4 2 3'
_cell_length_a 6.712
_cell_length_b 6.712
_cell_length_c 6.712
_cell_angle_alpha 90.00
_cell_angle_beta 90.00
_cell_angle_gamma 90.00
loop_
_atom_site_label
_atom_site_fract_x
_atom_site_fract_y
_atom_site_fract_z
Lu1 0.000 0.000 0.000
Zn1 0.250 0.250 0.750
In1 0.250 0.250 0.250
Cu1 0.000 0.000 0.500
# * M_tot: 0.0001 μB/atom
# * electronic total energy: -51.2 eV/cell

---

# NpAlZn | OQMD | GGA-PBE | relaxed
data_NpAlZn
_space_group_name_H-M_alt 'F -4 3 m'
_space_group_IT_number 216
_space_group_name_Hall 'F -4 2 3'
_cell_length_a 6.455
_cell_length_b 6.455
_cell_length_c 6.455
_cell_angle_alpha 90.00
_cell_angle_beta 90.00
_cell_angle_gamma 90.00
loop_
_atom_site_label
_atom_site_fract_x
_atom_site_fract_y
_atom_site_fract_z
Np1 0.000 0.000 0.000
Al1 0.000 0.000 0.500
Zn1 0.250 0.250 0.750
# * M_tot: 1.3290 μB/atom
# * electronic total energy: -67.6 eV/cell

---

# CdFeSiHg | OQMD | GGA-PBE | relaxed
data_CdFeSiHg
_space_group_name_H-M_alt 'F -4 3 m'
_space_group_IT_number 216
_space_group_name_Hall 'F -4 2 3'
_cell_length_a 6.582
_cell_length_b 6.582
_cell_length_c 6.582
_cell_angle_alpha 90.00
_cell_angle_beta 90.00
_cell_angle_gamma 90.00
loop_
_atom_site_label
_atom_site_fract_x
_atom_site_fract_y
_atom_site_fract_z
Cd1 0.000 0.000 0.000
Fe1 0.250 0.250 0.750
Si1 0.000 0.000 0.500
Hg1 0.250 0.250 0.250
# * M_tot: 0.5882 μB/atom
# * electronic total energy: -50.2 eV/cell

---

# TaBIr | OQMD | GGA-PBE | relaxed
data_TaBIr
_space_group_name_H-M_alt 'F -4 3 m'
_space_group_IT_number 216
_space_group_name_Hall 'F -4 2 3'
_cell_length_a 5.794
~~~

• Completed:
data_CdFeSiHg